Record 1
Formula: C72H68BaClIN4O5PSb2
Source: the Open Molecules 2025 dataset
Level of theory: ωB97M-V/def2-TZVPD

```
155
C72H68BaClIN4O5PSb2 (ωB97M-V/def2-TZVPD)
Ba 0.84 -0.08 -1.18
O 1.70 -3.09 2.15
C 1.73 -2.31 1.09
O 1.15 -1.24 1.00
C 2.51 -2.83 -0.09
C 3.41 -3.86 -0.09
C 4.03 -4.17 -1.31
C 3.73 -3.45 -2.45
C 2.80 -2.42 -2.36
N 2.22 -2.13 -1.19
C 2.35 -1.54 -3.53
O 3.00 -1.57 -4.55
O 1.30 -0.83 -3.22
H 1.20 -2.61 2.84
H 3.63 -4.42 0.82
H 4.75 -4.98 -1.36
H 4.18 -3.66 -3.41
C 2.12 2.75 2.37
C 3.27 1.77 2.66
C 3.70 0.96 1.43
Sb 5.32 -0.45 1.71
C 6.71 1.03 2.34
C 6.73 2.29 1.74
C 7.68 3.24 2.12
C 8.63 2.92 3.09
C 8.62 1.66 3.68
C 7.67 0.72 3.30
C 4.75 -1.11 3.65
C 4.75 -0.27 4.78
C 4.29 -0.74 6.00
C 3.83 -2.05 6.13
C 3.84 -2.89 5.02
C 4.30 -2.42 3.80
Sb 0.33 1.79 1.65
C -0.03 0.55 3.37
C -0.73 -0.66 3.22
C -0.96 -1.48 4.33
C -0.50 -1.10 5.58
C 0.17 0.10 5.74
C 0.40 0.93 4.64
C -0.99 3.35 2.26
C -0.65 4.70 2.08
C -1.52 5.71 2.46
C -2.75 5.39 3.02
C -3.11 4.06 3.20
C -2.24 3.05 2.82
H 2.42 3.46 1.59
H 1.85 3.33 3.25
H 2.97 1.08 3.45
H 4.13 2.33 3.04
H 4.02 1.63 0.62
H 2.85 0.37 1.06
H 6.00 2.56 0.98
H 7.68 4.22 1.66
H 9.37 3.66 3.38
H 9.36 1.41 4.43
H 7.68 -0.26 3.78
H 5.11 0.75 4.70
H 4.30 -0.08 6.87
H 3.48 -2.41 7.09
H 3.50 -3.92 5.12
H 4.32 -3.10 2.94
H -1.09 -0.97 2.25
H -1.52 -2.40 4.20
H -0.68 -1.74 6.44
H 0.52 0.41 6.72
H 0.92 1.87 4.79
H 0.31 4.97 1.63
H -1.24 6.75 2.32
H -3.43 6.18 3.32
H -4.07 3.81 3.64
H -2.53 2.01 2.99
I 4.00 1.27 -2.41
C 3.98 1.86 -4.42
C 5.25 1.78 -4.92
C 5.53 2.09 -6.27
C 4.50 2.46 -7.07
C 3.18 2.56 -6.58
C 2.17 2.95 -7.50
C 0.88 3.08 -7.11
C 0.55 2.83 -5.76
C 1.47 2.44 -4.81
P 0.86 2.25 -3.07
C -0.96 2.13 -3.23
C -1.81 2.92 -2.47
C -3.18 2.69 -2.46
C -3.72 1.66 -3.22
C -2.88 0.85 -3.99
C -1.51 1.08 -3.98
C 1.10 3.96 -2.41
C 1.76 4.10 -1.19
C 1.99 5.35 -0.63
C 1.55 6.49 -1.30
C 0.90 6.36 -2.52
C 0.69 5.11 -3.08
C 2.85 2.27 -5.21
H 6.06 1.45 -4.28
H 6.54 2.02 -6.64
H 4.68 2.70 -8.11
H 2.47 3.14 -8.53
H 0.11 3.38 -7.81
H -0.48 2.97 -5.47
H -1.41 3.74 -1.87
H -3.84 3.32 -1.87
H -4.79 1.48 -3.23
H -3.29 0.05 -4.59
H -0.85 0.44 -4.57
H 2.12 3.21 -0.67
H 2.51 5.44 0.31
H 1.73 7.47 -0.88
H 0.56 7.25 -3.05
H 0.19 5.03 -4.04
C -6.98 -4.25 -0.79
C -5.98 -4.22 -1.95
C -6.67 -3.54 -3.16
C -5.68 -5.67 -2.34
C -4.65 -3.49 -1.58
O -3.78 -3.48 -2.74
C -3.87 -4.16 -0.40
C -3.91 -3.57 1.03
C -5.17 -3.84 1.82
C -5.52 -5.14 2.19
C -6.69 -5.40 2.89
C -7.51 -4.34 3.25
Cl -8.97 -4.65 4.13
C -7.17 -3.04 2.92
C -6.00 -2.80 2.22
C -4.95 -2.02 -1.35
N -3.76 -1.19 -1.05
C -2.52 -1.24 -1.52
N -1.79 -0.29 -0.96
C -2.69 0.34 -0.14
N -3.90 -0.17 -0.16
H -7.89 -4.75 -1.12
H -7.27 -3.24 -0.46
H -6.60 -4.79 0.08
H -7.41 -4.22 -3.58
H -5.95 -3.28 -3.94
H -7.20 -2.63 -2.86
H -6.62 -6.17 -2.59
H -5.22 -6.25 -1.54
H -5.05 -5.76 -3.24
H -3.66 -4.38 -3.04
H -2.82 -4.15 -0.72
H -4.14 -5.21 -0.35
H -3.74 -2.50 1.02
H -3.07 -4.01 1.56
H -4.88 -5.97 1.91
H -6.96 -6.41 3.17
H -7.82 -2.22 3.22
H -5.73 -1.77 1.96
H -5.60 -1.89 -0.49
H -5.43 -1.60 -2.22
H -2.20 -1.96 -2.26
H -2.45 1.20 0.47
```

Properties
* HOMO-LUMO gap: 0.26177 Ha
* energy above the lowest of the compared OMol25 structures with the same formula, charge and spin: 2.93 kJ/mol
* HOMO energy: -9.9 eV
* 2S+1: 1
* net charge: +1

Your job: echo the whole of the contents further above verbatim.

Record 1
Formula: C72H68BaClIN4O5PSb2
Source: the Open Molecules 2025 dataset
Level of theory: ωB97M-V/def2-TZVPD

```
155
C72H68BaClIN4O5PSb2 (ωB97M-V/def2-TZVPD)
Ba 0.84 -0.08 -1.18
O 1.70 -3.09 2.15
C 1.73 -2.31 1.09
O 1.15 -1.24 1.00
C 2.51 -2.83 -0.09
C 3.41 -3.86 -0.09
C 4.03 -4.17 -1.31
C 3.73 -3.45 -2.45
C 2.80 -2.42 -2.36
N 2.22 -2.13 -1.19
C 2.35 -1.54 -3.53
O 3.00 -1.57 -4.55
O 1.30 -0.83 -3.22
H 1.20 -2.61 2.84
H 3.63 -4.42 0.82
H 4.75 -4.98 -1.36
H 4.18 -3.66 -3.41
C 2.12 2.75 2.37
C 3.27 1.77 2.66
C 3.70 0.96 1.43
Sb 5.32 -0.45 1.71
C 6.71 1.03 2.34
C 6.73 2.29 1.74
C 7.68 3.24 2.12
C 8.63 2.92 3.09
C 8.62 1.66 3.68
C 7.67 0.72 3.30
C 4.75 -1.11 3.65
C 4.75 -0.27 4.78
C 4.29 -0.74 6.00
C 3.83 -2.05 6.13
C 3.84 -2.89 5.02
C 4.30 -2.42 3.80
Sb 0.33 1.79 1.65
C -0.03 0.55 3.37
C -0.73 -0.66 3.22
C -0.96 -1.48 4.33
C -0.50 -1.10 5.58
C 0.17 0.10 5.74
C 0.40 0.93 4.64
C -0.99 3.35 2.26
C -0.65 4.70 2.08
C -1.52 5.71 2.46
C -2.75 5.39 3.02
C -3.11 4.06 3.20
C -2.24 3.05 2.82
H 2.42 3.46 1.59
H 1.85 3.33 3.25
H 2.97 1.08 3.45
H 4.13 2.33 3.04
H 4.02 1.63 0.62
H 2.85 0.37 1.06
H 6.00 2.56 0.98
H 7.68 4.22 1.66
H 9.37 3.66 3.38
H 9.36 1.41 4.43
H 7.68 -0.26 3.78
H 5.11 0.75 4.70
H 4.30 -0.08 6.87
H 3.48 -2.41 7.09
H 3.50 -3.92 5.12
H 4.32 -3.10 2.94
H -1.09 -0.97 2.25
H -1.52 -2.40 4.20
H -0.68 -1.74 6.44
H 0.52 0.41 6.72
H 0.92 1.87 4.79
H 0.31 4.97 1.63
H -1.24 6.75 2.32
H -3.43 6.18 3.32
H -4.07 3.81 3.64
H -2.53 2.01 2.99
I 4.00 1.27 -2.41
C 3.98 1.86 -4.42
C 5.25 1.78 -4.92
C 5.53 2.09 -6.27
C 4.50 2.46 -7.07
C 3.18 2.56 -6.58
C 2.17 2.95 -7.50
C 0.88 3.08 -7.11
C 0.55 2.83 -5.76
C 1.47 2.44 -4.81
P 0.86 2.25 -3.07
C -0.96 2.13 -3.23
C -1.81 2.92 -2.47
C -3.18 2.69 -2.46
C -3.72 1.66 -3.22
C -2.88 0.85 -3.99
C -1.51 1.08 -3.98
C 1.10 3.96 -2.41
C 1.76 4.10 -1.19
C 1.99 5.35 -0.63
C 1.55 6.49 -1.30
C 0.90 6.36 -2.52
C 0.69 5.11 -3.08
C 2.85 2.27 -5.21
H 6.06 1.45 -4.28
H 6.54 2.02 -6.64
H 4.68 2.70 -8.11
H 2.47 3.14 -8.53
H 0.11 3.38 -7.81
H -0.48 2.97 -5.47
H -1.41 3.74 -1.87
H -3.84 3.32 -1.87
H -4.79 1.48 -3.23
H -3.29 0.05 -4.59
H -0.85 0.44 -4.57
H 2.12 3.21 -0.67
H 2.51 5.44 0.31
H 1.73 7.47 -0.88
H 0.56 7.25 -3.05
H 0.19 5.03 -4.04
C -6.98 -4.25 -0.79
C -5.98 -4.22 -1.95
C -6.67 -3.54 -3.16
C -5.68 -5.67 -2.34
C -4.65 -3.49 -1.58
O -3.78 -3.48 -2.74
C -3.87 -4.16 -0.40
C -3.91 -3.57 1.03
C -5.17 -3.84 1.82
C -5.52 -5.14 2.19
C -6.69 -5.40 2.89
C -7.51 -4.34 3.25
Cl -8.97 -4.65 4.13
C -7.17 -3.04 2.92
C -6.00 -2.80 2.22
C -4.95 -2.02 -1.35
N -3.76 -1.19 -1.05
C -2.52 -1.24 -1.52
N -1.79 -0.29 -0.96
C -2.69 0.34 -0.14
N -3.90 -0.17 -0.16
H -7.89 -4.75 -1.12
H -7.27 -3.24 -0.46
H -6.60 -4.79 0.08
H -7.41 -4.22 -3.58
H -5.95 -3.28 -3.94
H -7.20 -2.63 -2.86
H -6.62 -6.17 -2.59
H -5.22 -6.25 -1.54
H -5.05 -5.76 -3.24
H -3.66 -4.38 -3.04
H -2.82 -4.15 -0.72
H -4.14 -5.21 -0.35
H -3.74 -2.50 1.02
H -3.07 -4.01 1.56
H -4.88 -5.97 1.91
H -6.96 -6.41 3.17
H -7.82 -2.22 3.22
H -5.73 -1.77 1.96
H -5.60 -1.89 -0.49
H -5.43 -1.60 -2.22
H -2.20 -1.96 -2.26
H -2.45 1.20 0.47
```

Properties
* HOMO-LUMO gap: 0.26177 Ha
* energy above the lowest of the compared OMol25 structures with the same formula, charge and spin: 2.93 kJ/mol
* HOMO energy: -9.9 eV
* 2S+1: 1
* net charge: +1